(Brief)
Could you echo the whole of the entries below without additions?

(Input)
~~~
Record 1
# C7H12ClN2P

The molecule C7H12ClN2P in a non-equilibrium geometry (ωB97M-V with the def2-TZVPD basis set, OMol25).

* HOMO (spin up / spin down): -7.65 / -9.32 eV
* ⟨S²⟩: 2.02
* LUMO level (spin up / spin down): 0.85 / -2.13 eV
* HOMO-LUMO gap (spin up / spin down): 8.50 / 7.19 eV
* multiplicity: 3
* DFT total energy: -32239.5258 eV

Positions of all 23 atoms, in Å:
C  3.423  -1.252  -0.690
C  2.395  -1.536  -1.326
C  3.504  -1.260  0.801
C  -1.537  -0.760  0.735
C  -1.056  1.702  0.913
C  -0.783  0.616  -1.314
C  -0.690  0.358  0.201
N  2.911  -0.442  1.500
N  0.721  0.026  0.480
P  1.902  0.898  0.962
Cl  2.971  1.639  -0.738
H  4.404  -1.250  -1.147
H  1.687  -1.821  -2.067
H  4.238  -1.980  1.140
H  -2.512  -0.673  0.396
H  -1.153  -1.699  0.426
H  -1.631  -0.738  1.743
H  -0.236  2.407  0.779
H  -1.077  1.530  1.919
H  -2.118  1.832  0.515
H  -1.757  0.990  -1.610
H  -0.078  1.234  -1.673
H  -0.517  -0.313  -1.808

***

Record 2
# C21H44FO10PS2

A cluster of 8 separate species, C21H44FO10PS2 in total (ωB97M-V with the def2-TZVPD basis set, OMol25).

* HOMO: -9.01 eV
* LUMO level: -0.49 eV
* HOMO-LUMO gap: 8.53 eV
* multiplicity: 1
* DFT total energy: -76638.1770 eV

Positions of all 79 atoms, in Å:
O  1.709  -1.033  2.009
S  1.810  -1.995  0.947
O  1.666  -3.490  1.805
F  2.672  -4.425  1.465
O  3.342  -2.162  0.507
P  4.649  -2.168  1.537
S  6.086  -3.325  1.087
H  4.932  -0.804  1.553
H  4.017  -2.376  2.761
C  0.358  4.260  3.591
C  0.369  3.292  2.431
O  0.327  3.676  1.285
C  0.434  1.823  2.774
H  0.305  5.284  3.229
H  -0.500  4.058  4.235
H  1.258  4.130  4.194
H  -0.421  1.547  3.393
H  1.339  1.607  3.344
H  0.432  1.232  1.864
C  -0.865  6.404  0.098
C  -1.555  7.684  0.483
O  -1.361  8.235  1.544
C  -2.512  8.248  -0.542
H  -0.194  6.082  0.890
H  -1.599  5.620  -0.090
H  -0.306  6.550  -0.825
H  -3.290  7.515  -0.759
H  -1.982  8.446  -1.475
H  -2.966  9.164  -0.172
C  -1.750  -3.416  2.092
C  -2.014  -3.634  0.623
O  -1.200  -3.312  -0.213
C  -3.321  -4.293  0.261
H  -0.766  -2.968  2.176
H  -2.510  -2.766  2.527
H  -1.773  -4.369  2.626
H  -4.155  -3.689  0.620
H  -3.387  -5.269  0.747
H  -3.390  -4.408  -0.818
C  0.478  6.038  -5.047
C  -0.125  5.276  -3.892
O  -0.850  5.810  -3.086
C  0.228  3.812  -3.787
H  0.154  7.075  -5.015
H  1.567  5.991  -4.999
H  0.171  5.587  -5.993
H  1.310  3.695  -3.699
H  -0.088  3.284  -4.689
H  -0.257  3.378  -2.917
C  -0.615  -7.086  0.988
C  -1.513  -7.732  2.012
O  -2.411  -7.112  2.535
C  -1.240  -9.177  2.347
H  -0.910  -6.052  0.837
H  0.427  -7.107  1.315
H  -0.674  -7.611  0.033
H  -0.224  -9.286  2.730
H  -1.320  -9.791  1.448
H  -1.952  -9.524  3.092
C  -4.962  5.904  -2.666
C  -6.264  6.669  -2.623
O  -6.361  7.788  -3.065
C  -7.441  5.957  -1.997
H  -4.191  6.514  -3.130
H  -4.652  5.635  -1.655
H  -5.086  4.982  -3.236
H  -7.211  5.691  -0.963
H  -7.649  5.031  -2.536
H  -8.316  6.601  -2.022
C  8.509  -8.443  -0.296
C  7.730  -7.221  0.138
O  7.961  -6.658  1.180
C  6.648  -6.744  -0.804
H  9.254  -8.690  0.456
H  7.833  -9.288  -0.435
H  9.000  -8.254  -1.252
H  5.910  -7.534  -0.955
H  7.081  -6.495  -1.774
H  6.164  -5.866  -0.384

***

Record 3
# C29H34F2N5Ru

A structure of composition C29H34F2N5Ru in a non-equilibrium geometry (ωB97M-V with the def2-TZVPD basis set, OMol25).

* HOMO (spin up / spin down): -16.71 / -17.35 eV
* ⟨S²⟩: 6.02
* LUMO level (spin up / spin down): -8.28 / -10.46 eV
* HOMO-LUMO gap (spin up / spin down): 8.43 / 6.89 eV
* energy relative to the best compared isomer or geometry (same formula, charge and spin): 107.7 kJ/mol
* net charge: +3
* multiplicity: 5
* DFT total energy: -46064.4046 eV

Positions of all 71 atoms, in Å:
Ru  -0.687  0.727  0.386
C  0.443  0.590  -2.391
C  0.766  2.086  -2.315
C  1.396  2.530  -1.018
C  2.215  3.656  -1.031
C  2.888  4.038  0.115
C  2.761  3.249  1.250
C  1.906  2.164  1.206
N  1.210  1.824  0.110
N  -0.840  0.253  -1.764
C  -1.059  -1.198  -1.689
C  -2.305  -1.444  -0.867
~~~

(Solution)
Record 1
# C7H12ClN2P

The molecule C7H12ClN2P in a non-equilibrium geometry (ωB97M-V with the def2-TZVPD basis set, OMol25).

* HOMO (spin up / spin down): -7.65 / -9.32 eV
* ⟨S²⟩: 2.02
* LUMO level (spin up / spin down): 0.85 / -2.13 eV
* HOMO-LUMO gap (spin up / spin down): 8.50 / 7.19 eV
* multiplicity: 3
* DFT total energy: -32239.5258 eV

Positions of all 23 atoms, in Å:
C  3.423  -1.252  -0.690
C  2.395  -1.536  -1.326
C  3.504  -1.260  0.801
C  -1.537  -0.760  0.735
C  -1.056  1.702  0.913
C  -0.783  0.616  -1.314
C  -0.690  0.358  0.201
N  2.911  -0.442  1.500
N  0.721  0.026  0.480
P  1.902  0.898  0.962
Cl  2.971  1.639  -0.738
H  4.404  -1.250  -1.147
H  1.687  -1.821  -2.067
H  4.238  -1.980  1.140
H  -2.512  -0.673  0.396
H  -1.153  -1.699  0.426
H  -1.631  -0.738  1.743
H  -0.236  2.407  0.779
H  -1.077  1.530  1.919
H  -2.118  1.832  0.515
H  -1.757  0.990  -1.610
H  -0.078  1.234  -1.673
H  -0.517  -0.313  -1.808

***

Record 2
# C21H44FO10PS2

A cluster of 8 separate species, C21H44FO10PS2 in total (ωB97M-V with the def2-TZVPD basis set, OMol25).

* HOMO: -9.01 eV
* LUMO level: -0.49 eV
* HOMO-LUMO gap: 8.53 eV
* multiplicity: 1
* DFT total energy: -76638.1770 eV

Positions of all 79 atoms, in Å:
O  1.709  -1.033  2.009
S  1.810  -1.995  0.947
O  1.666  -3.490  1.805
F  2.672  -4.425  1.465
O  3.342  -2.162  0.507
P  4.649  -2.168  1.537
S  6.086  -3.325  1.087
H  4.932  -0.804  1.553
H  4.017  -2.376  2.761
C  0.358  4.260  3.591
C  0.369  3.292  2.431
O  0.327  3.676  1.285
C  0.434  1.823  2.774
H  0.305  5.284  3.229
H  -0.500  4.058  4.235
H  1.258  4.130  4.194
H  -0.421  1.547  3.393
H  1.339  1.607  3.344
H  0.432  1.232  1.864
C  -0.865  6.404  0.098
C  -1.555  7.684  0.483
O  -1.361  8.235  1.544
C  -2.512  8.248  -0.542
H  -0.194  6.082  0.890
H  -1.599  5.620  -0.090
H  -0.306  6.550  -0.825
H  -3.290  7.515  -0.759
H  -1.982  8.446  -1.475
H  -2.966  9.164  -0.172
C  -1.750  -3.416  2.092
C  -2.014  -3.634  0.623
O  -1.200  -3.312  -0.213
C  -3.321  -4.293  0.261
H  -0.766  -2.968  2.176
H  -2.510  -2.766  2.527
H  -1.773  -4.369  2.626
H  -4.155  -3.689  0.620
H  -3.387  -5.269  0.747
H  -3.390  -4.408  -0.818
C  0.478  6.038  -5.047
C  -0.125  5.276  -3.892
O  -0.850  5.810  -3.086
C  0.228  3.812  -3.787
H  0.154  7.075  -5.015
H  1.567  5.991  -4.999
H  0.171  5.587  -5.993
H  1.310  3.695  -3.699
H  -0.088  3.284  -4.689
H  -0.257  3.378  -2.917
C  -0.615  -7.086  0.988
C  -1.513  -7.732  2.012
O  -2.411  -7.112  2.535
C  -1.240  -9.177  2.347
H  -0.910  -6.052  0.837
H  0.427  -7.107  1.315
H  -0.674  -7.611  0.033
H  -0.224  -9.286  2.730
H  -1.320  -9.791  1.448
H  -1.952  -9.524  3.092
C  -4.962  5.904  -2.666
C  -6.264  6.669  -2.623
O  -6.361  7.788  -3.065
C  -7.441  5.957  -1.997
H  -4.191  6.514  -3.130
H  -4.652  5.635  -1.655
H  -5.086  4.982  -3.236
H  -7.211  5.691  -0.963
H  -7.649  5.031  -2.536
H  -8.316  6.601  -2.022
C  8.509  -8.443  -0.296
C  7.730  -7.221  0.138
O  7.961  -6.658  1.180
C  6.648  -6.744  -0.804
H  9.254  -8.690  0.456
H  7.833  -9.288  -0.435
H  9.000  -8.254  -1.252
H  5.910  -7.534  -0.955
H  7.081  -6.495  -1.774
H  6.164  -5.866  -0.384

***

Record 3
# C29H34F2N5Ru

A structure of composition C29H34F2N5Ru in a non-equilibrium geometry (ωB97M-V with the def2-TZVPD basis set, OMol25).

* HOMO (spin up / spin down): -16.71 / -17.35 eV
* ⟨S²⟩: 6.02
* LUMO level (spin up / spin down): -8.28 / -10.46 eV
* HOMO-LUMO gap (spin up / spin down): 8.43 / 6.89 eV
* energy relative to the best compared isomer or geometry (same formula, charge and spin): 107.7 kJ/mol
* net charge: +3
* multiplicity: 5
* DFT total energy: -46064.4046 eV

Positions of all 71 atoms, in Å:
Ru  -0.687  0.727  0.386
C  0.443  0.590  -2.391
C  0.766  2.086  -2.315
C  1.396  2.530  -1.018
C  2.215  3.656  -1.031
C  2.888  4.038  0.115
C  2.761  3.249  1.250
C  1.906  2.164  1.206
N  1.210  1.824  0.110
N  -0.840  0.253  -1.764
C  -1.059  -1.198  -1.689
C  -2.305  -1.444  -0.867